Quote the listing below from the first line to the one with "La1 La" without additions.
~~~
This entry pairs a crystal structure of La4BiPb2 with its simulated powder diffractogram. Radiation: λ = 1.5418 Å (Cu Kα). Structure: a structure optimized by DFT (GGA-PBE).
Kinematic intensities with the Lorentz-polarization factor, no thermal factor.

Top 10 peaks for 15 to 90 degrees two-theta, by angle:
21.99°, rel. 225, hkl 2 1 1
28.47°, rel. 1000, hkl 3 0 1
28.58°, rel. 496, hkl 1 0 3
33.88°, rel. 972, hkl 3 1 2
40.72°, rel. 211, hkl 4 2 0
42.85°, rel. 222, hkl 3 2 3
46.76°, rel. 202, hkl 4 3 1
57.31°, rel. 319, hkl 6 1 1
57.50°, rel. 158, hkl 1 1 6
69.72°, rel. 187, hkl 7 2 1

Cell and atoms:
```
data_La4BiPb2
_chemical_formula_sum 'La16 Bi4 Pb8'
_cell_length_a 9.9146
_cell_length_b 9.9146
_cell_length_c 9.8713
_cell_angle_alpha 90.00
_cell_angle_beta 90.00
_cell_angle_gamma 90.00
_space_group_name_H-M_alt 'I -4 2 d'
_space_group_IT_number 122
_space_group_name_Hall 'I -4 2bw'
loop_
_atom_site_label
_atom_site_type_symbol
_atom_site_fract_x
_atom_site_fract_y
_atom_site_fract_z
_atom_site_occupancy
La1 La 0.0727 0.1781 0.3044 1
Bi1 Bi 0.0000 0.0000 0.0000 1
Pb1 Pb 0.1262 0.2500 0.6250 1
```
~~~
This entry pairs a crystal structure of La4BiPb2 with its simulated powder diffractogram. Radiation: λ = 1.5418 Å (Cu Kα). Structure: a structure optimized by DFT (GGA-PBE).
Kinematic intensities with the Lorentz-polarization factor, no thermal factor.

Top 10 peaks for 15 to 90 degrees two-theta, by angle:
21.99°, rel. 225, hkl 2 1 1
28.47°, rel. 1000, hkl 3 0 1
28.58°, rel. 496, hkl 1 0 3
33.88°, rel. 972, hkl 3 1 2
40.72°, rel. 211, hkl 4 2 0
42.85°, rel. 222, hkl 3 2 3
46.76°, rel. 202, hkl 4 3 1
57.31°, rel. 319, hkl 6 1 1
57.50°, rel. 158, hkl 1 1 6
69.72°, rel. 187, hkl 7 2 1

Cell and atoms:
```
data_La4BiPb2
_chemical_formula_sum 'La16 Bi4 Pb8'
_cell_length_a 9.9146
_cell_length_b 9.9146
_cell_length_c 9.8713
_cell_angle_alpha 90.00
_cell_angle_beta 90.00
_cell_angle_gamma 90.00
_space_group_name_H-M_alt 'I -4 2 d'
_space_group_IT_number 122
_space_group_name_Hall 'I -4 2bw'
loop_
_atom_site_label
_atom_site_type_symbol
_atom_site_fract_x
_atom_site_fract_y
_atom_site_fract_z
_atom_site_occupancy
La1 La 0.0727 0.1781 0.3044 1